Sequel: Five Years After
Status: done

Caroline Rae

"You fascinate me Jasey Rae"

I waited in the kitchen for Rian the next morning, and when her appeared, I led him to my room. He gawked at the amount of space.

I enjoyed my bedroom quite a lot. It fit me. The light yellow walls contrasted with the black and white pictures hung around everywhere. Most of them were originals, I use to photograph. My camera hadn't been touched in weeks though and I promised to myself I'd change that. Book cases that weren't really needed lined the walls. We already had three studies in the house, but I liked to have my favorites close to me.

The window seat was my favorite part. It over looked the garden my parents used to tend. The flowers always started blooming in early march, and I rarely missed the sight.

Rian looked to me in confusion as I stepped into my closet, but realization hit him as he saw me punch in the code to my music room. I stepped in, allowing him to follow, and awaited his reaction.

This is amazing," Rian breathed. I smiled slightly at his reaction.(the music room looks SOMEWHAT like this. Imagine it bigger, filled with instruments and a wall full of mirrors. Like a ballet studio I guess?)

"Why is your house so huge?" he asked.

"It's what my parents wanted," I said with a shrug. He nodded.

"And you're just here by yourself?" He asked again with a softer tone.

"I don't mind being alone. It gives me time to think." I replied with a sigh.He dropped the subject and walked over to the drum set located in another area of the room.

"So on a scale from one to ten, how would you rate your playing?" I asked casually.

"Maybe an eight," he shrugged. I nodded and smiled, motioning for him to start playing whatever he pleased.

Rian wasn't bad, at all. He had some rhythm issues, but they could be easily solved. He just seemed to have trouble adding his own stuff into his beats. Nothing major.

We basically goofed around the rest of the time, which was unusual for me. I played classical pieces while he would hit a steady beat. As my music grew more intense, so did his. We were both clutching our sides at the end of practice.

"Okay," I said between soft laughs, "I think it's time you leave." I led him out just in time to see Myrian arrive with Jack and Zack in tow.

Jack beamed at my music room while Zack just rolled his eyes.

"You expanded it I see?" he said with a smirk.

"Of course." I said with a curt nod.

They walked over to the numerous guitars and basses and picked which ever one their hearts desired. They played for a while, just goofing around, until I got serious.

"Jack, can you read sheet music?"

"Well enough," he shrugged. I nodded and handed him a book I'd used in one of my classes as a child of mere seven.

He sight read effortlessly, leaving me stumped. Zack was the same, he whisked through everything I threw at him. Alright then, it must be Alex.

It wasn't unusual for a bands bump in the road to be caused by their lead singer. He could still be working with his breaks in his voice, he may just not have what it takes. I'd find out soon enough.

After their lesson Jack looked up.

"How'd I do?" he asked with a child like expression. I smiled and looked up to him for the first time. They boy wasn't half bad. Sure, he had a short attention span and the maturity of a five year old at times. But he was free. His mind was open to anything, and he loved his band.

I respected him.

Before I knew it, our time was over, and Alex's lesson began.

He inspected every inch of the room without saying a word before plopping down beside me on the piano bench.

"How did you handle puberty?" I asked while idly playing as he watched intently.

"What?" he choked. I stopped playing.

"Your voice. How did you handle your voice change with singing?" I clarified. He nodded.

"Yeah, sorry. It was rough at first, I guess. I kind of got used to it." he answered while rubbing the back of his neck.

I continued playing. "Do you ever warm up before you sing?" I asked. He scoffed, so I took that as a no.

"Sing for me," I told him. His face reddened.

"I- Uh don't have anything prepared." I smirked.

"Of course you do,"

"No, I don't." He tried again. I wasn't buying it. I knew this game.

My fingers returned to the keys and played a complicated version of ode to joy while I thought.

Attached: materials data:
/*
La3PuSb4 | PBE | optimized geometry Values from VASP.

The structure in Quantum ESPRESSO input format:
```
&SYSTEM
  ibrav = 0, nat = 16, ntyp = 3
/
ATOMIC_SPECIES
Sb 121.76 Sb.upf
La 138.91 La.upf
Pu 244.00 Pu.upf
ATOMIC_POSITIONS crystal
Sb 0.495 0.247 0.371
Sb 0.999 0.760 0.880
Sb 0.501 0.240 0.880
Sb 0.005 0.753 0.371
Sb 0.499 0.760 0.120
Sb 0.995 0.247 0.629
Sb 0.505 0.753 0.629
Sb 0.001 0.240 0.120
La 0.750 0.500 0.626
La 0.250 0.500 0.374
La 0.750 0.500 0.125
La 0.750 0.000 0.375
La 0.250 0.500 0.875
La 0.250 0.000 0.625
Pu 0.750 0.000 0.875
Pu 0.250 0.000 0.125
CELL_PARAMETERS angstrom
-4.638 -4.994 4.058
0.330 -2.267 -7.589
7.285 -5.237 1.881
```

Output
DOS(E_F)   16.1 states/eV/f.u.
Space-group type   P2/c
ΔE_f (raw)   -25.146 kcal/mol of atoms


ScFeSn, relaxed, DFT GGA-PBE; electronic total energy = -17.23 eV/cell; size of the total moment = 2.28 Bohr magnetons per cell
1.0
0.1795 2.5325 3.8458
-1.9967 4.1515 0.1204
-3.8098 0.6525 2.5091
Fe Sn Sc
1 1 1
Direct
0.2500 0.2500 0.2500
0.7500 0.7500 0.7500
0.0000 0.0000 0.0000


# Tb3ZnPd4

Tb3ZnPd4 after structural relaxation (PBE-GGA, Alexandria via LeMat-Bulk).

## Properties
- Size of the total moment: 0.000 μB/atom
- E_form: -0.692 eV per atom
- Uncorrected energy: -5.18 eV per atom

Cell and atoms, written as CIF:
```
data_Tb3ZnPd4
_chemical_formula_sum 'Tb3 Zn1 Pd4'
_cell_length_a 3.933
_cell_length_b 6.351
_cell_length_c 8.120
_cell_angle_alpha 113.02
_cell_angle_beta 104.02
_cell_angle_gamma 90.00
_symmetry_space_group_name_H-M 'P 1'
_symmetry_Int_Tables_number 1
loop_
_symmetry_equiv_pos_as_xyz
'x,y,z'
loop_
_atom_site_label
_atom_site_type_symbol
_atom_site_fract_x
_atom_site_fract_y
_atom_site_fract_z
Pd1 Pd 0.378 0.165 0.755
Pd2 Pd 0.378 0.590 0.755
Pd3 Pd 0.622 0.410 0.245
Pd4 Pd 0.622 0.835 0.245
Tb1 Tb 0.000 0.500 0.000
Tb2 Tb 0.807 0.807 0.614
Tb3 Tb 0.193 0.193 0.386
Zn1 Zn 0.500 0.000 0.000
```


Version one
Below is a geometry-optimized V2SF structure, with properties calculated at the GGA+U level.

Results
**Size of the total moment**: 7.00 μB/f.u.

The structure in extended XYZ format:
```
4
Lattice="0.0000 3.0364 3.0364 3.0364 0.0000 3.0364 3.0364 3.0364 0.0000" Properties=species:S:1:pos:R:3 pbc="T T T"
V 1.5182 1.5182 1.5182
V 4.5546 4.5546 4.5546
S 3.0364 3.0364 3.0364
F 0.0000 0.0000 0.0000
```



Version two
Below is a geometry-optimized V2SF structure, with properties calculated at the GGA+U level.

Results
**Size of the total moment**: 7.00 μB/f.u.

The structure in extended XYZ format:
```
8
Lattice="-2.8805 4.0406 -4.0392 -1.4627 -4.8943 -3.8529 -4.9262 -0.8315 -2.3864" Properties=species:S:1:pos:R:3 pbc="T T T"
F -4.2802 -3.0763 -5.0927
F -2.1716 -0.4269 -3.9460
V -2.5883 -2.6459 -3.6254
V -5.3652 -1.0841 -4.8598
V -3.1321 1.5899 -3.4869
V -7.4530 -1.2303 -8.5849
S 0.0000 0.0000 0.0000
S -4.9891 1.3911 -5.1858
```



Which structure is most stable? version two, by 0.293 eV/atom over the runner-up.



Version one
*/
End of the materials data:

"Why are you nervous?" I asked absent-mindfully.

"I'm not," he answered too quickly, and then cursed himself.

"You're...really intimidating." he admitted. I sighed and rested my aching hands.

"I'm not her to judge you any more than you're here to judge me." I told him while running my hands over the keys once again.

"I know that." he assured me. "You're know what you're doing."

"Stuck up, you mean?" I smirked.

"No," he said honestly, causing me to look up. "I don't think you're stuck up at all. You were raised to be proper, and shielded, and....strong willed. No one really knows how to handle that." I was shocked at his words.

It was always assumed that I though I was better than everyone else. That's not the case in my opinion. I was raised by my parents, who kept everything formal. No one really spoke at breakfasts, we never went out together. But, I loved them. My parents were wonderful people, and I only wished I could remember my mother. She passed of cancer I'm told when I was a mere child, and all I have is photographs. I remember small pieces of my childhood, like my manners, my lessons, but there had always been a blur somewhere in the middle.

"I guess not," I told him.

"Look, why don't we just start with my singing tomorrow? For right now, we could just...I don't know, talk. Then tomorrow, I'd be more comfortable." He suggested. Though musicians need to learn to be prepared to sing at any moment, I agreed.

We talked for a while, nothing too serious.

"What's your favorite color?" he asked at some point.

"I don't know, really. What's the color of rain?" I responded. He was a little caught off guard at my answer.

"You're favorite color is rain?" he mused. I smiled slightly

"It's the only color that really seems to get me thinking," I told him. I really didn't pay much attention to anything unless it got me to think. I'd always been that way. Much of the world was useless to me.

Myrian for example, held my attention. After my mother passed, she'd stayed. She'd kept watch over me. She stayed behind to watch over her boss's child, and I never understood it. Therefore, I still spend my days trying to figure the woman out. I secretly prayed I never would.

"I see..." he said.

"Why do you have all these mirrors?" he asked, referring to the lines of mirrors on every wall. It could easily be turned into a ballet studio, even Jack questioned it. When I'd had it built though, everyone who constructed it never asked a thing.

I looked at Alex through narrowed eyes.

"I don't really know," I admitted. "I just wanted them here," I said with a shrug.

Alex smiled. "You fascinate me Jasey Rae."

"You amuse me Alex Gaskarth,"
♠ ♠ ♠
Hello loveys. I tried to make this long. I really think you guys are going to like this. I'm so excited about this story! If you're reading please don't be a silent reader! Let me know what you think! I really need comments. If there's any confusion with her mother's death right now, just wait, it'll make sense later. Jasey's outfit and hair here Keep in mind her hair is still her natural red(:
Love and Rockets